2 JUNE 1866, Page 14



New York, May 11, 1866. AMONG my correspondents on the Spectator's side of the big pond is one who, superfldously punctilious in the prepayment of postage, often manages to spend his money without accomplishing his object. It seems that the rule in the British Post Office with regard to foreign letters is that if a letter is underpaid, no matter how little is lacking or how much has been paid (in the last case above referred to it was 7s.), the payment goes for nothing, and the full postage is collected on delivery of the letter. I have endeavoured to explain this to my friend, that he may not waste his money, but he says in his last letter that the subject is far beyond his comprehension, of which I have no doubt, and that if he has not got the matter right this time I must "attribute it to the natural incapacity of an Englishman for any intellectual exer- tion." As I had recently been reading a book written by a Mr. J. S. Mill, and a speech or two by another Englishman named Glad- stone, I accepted the explanation. But although there may be some Englishmen who will own, with the candour of mycorrespond- ent, that they cannot master the great and complicated question of the prepayment of postage, it is remarkable how few there are who hesitate to speak and write upon public affairs in this country as if they had thoroughly mastered our political system. And indeed so simple is that system, that it is a matter of constant marvel to us that men of our race and our language, the principles of whose government and whose fundamental laws are the same as ours, should fail to understand our politics when they plainly-have endeavoured to do so, and should, by misapprehension of some little matter of detail or sympathy with some particular party, be led entirely astray from the truth in matters of fact and from principle in matters of speculation. It seems to me sometimes as if British readers must weary of being set right upon this subject. Bat when attention is evidently much directed to it, and when men like Mr. Lowe can go so far astray upon it, and yet show that they have such a man as Macaulay, not a Tory, for a guide, and when a journal, liberal, wisely progressive, notably candid, like one that I could name, err upon this subject in such a way that its friends and admirers here hold up their hands in wonder, correc- tion would seem to be not entirely superfluous.

'''
1.
DFT (ωB97M-V/def2-TZVPD) results for C29H38HfN2O6PS3Se as an isolated structure in a non-equilibrium geometry.

HOMO-LUMO gap   8.765 eV
Charge   +1
Calculated total energy   -5674.05227 Ha
Energy above the lowest of the compared OMol25 structures with the same formula, charge and spin   0.000 eV
Spin multiplicity   1

Geometry as XYZ:
```
81
Properties=species:S:1:pos:R:3:mulliken_charge:R:1
Hf -0.176 0.120 -0.014 0.581
C -0.271 -3.523 1.569 -0.694
C 1.227 -3.524 1.308 -1.304
S 1.733 -2.183 0.193 0.871
C 3.242 -1.602 0.993 -0.653
C 3.033 -1.035 2.391 -1.244
S 1.741 0.236 2.414 0.182
C 0.675 -0.300 3.769 -0.789
C -0.039 -1.633 3.606 -0.948
S -0.926 -1.907 2.031 0.232
H -0.526 -4.249 2.342 0.647
H -0.820 -3.806 0.671 0.127
H 1.527 -4.470 0.858 0.600
H 1.782 -3.416 2.237 0.537
H 3.619 -0.825 0.323 -0.160
H 3.975 -2.410 0.999 0.685
H 3.964 -0.585 2.735 0.655
H 2.768 -1.809 3.110 0.547
H -0.037 0.514 3.864 0.314
H 1.270 -0.326 4.683 0.701
H -0.772 -1.733 4.406 0.615
H 0.655 -2.466 3.701 0.485
C -1.298 -3.957 -2.576 -0.343
O -2.341 -3.108 -2.028 -0.566
C -1.952 -2.082 -1.322 0.306
O -0.763 -1.827 -1.072 0.515
N -2.959 -1.322 -0.865 -0.270
N -2.602 -0.233 -0.064 -0.517
H -1.809 -4.862 -2.883 0.348
H -0.547 -4.167 -1.819 0.148
H -0.838 -3.457 -3.424 0.088
H -3.922 -1.587 -1.006 0.271
H -2.894 -0.356 0.904 0.494
H -3.023 0.627 -0.414 0.436
C 3.279 2.115 -0.354 -0.998
C 4.162 1.371 -1.314 0.629
C 5.518 1.682 -1.376 -1.150
C 6.353 1.100 -2.318 -0.974
C 5.833 0.204 -3.238 -1.003
C 4.489 -0.128 -3.182 -0.586
C 3.654 0.418 -2.210 0.653
P 1.855 0.059 -2.197 2.121
C 1.608 -1.335 -3.391 1.128
C 0.611 -1.124 -4.353 -0.982
C 0.306 -2.072 -5.312 -1.011
C 0.997 -3.275 -5.325 -0.961
C 1.970 -3.504 -4.371 -0.689
C 2.299 -2.559 -3.396 1.441
C 3.437 -2.938 -2.479 -1.998
C 1.237 1.516 -3.093 0.012
C 2.031 2.249 -3.976 -1.061
C 1.524 3.380 -4.586 -0.840
C 0.222 3.786 -4.307 -0.839
C -0.566 3.049 -3.442 -0.633
C -0.077 1.894 -2.828 0.541
C -0.958 1.074 -1.930 -1.890
H 3.857 2.804 0.259 0.564
H 2.745 1.448 0.324 0.028
H 2.515 2.695 -0.878 0.187
H 5.917 2.414 -0.685 0.489
H 7.402 1.365 -2.347 0.412
H 6.466 -0.229 -4.001 0.495
H 4.084 -0.810 -3.917 0.621
H 0.085 -0.179 -4.373 0.346
H -0.451 -1.863 -6.057 0.477
H 0.787 -4.024 -6.079 0.390
H 2.524 -4.436 -4.388 0.496
H 4.338 -3.125 -3.068 0.570
H 3.198 -3.859 -1.946 0.542
H 3.679 -2.174 -1.750 -0.112
H 3.051 1.947 -4.174 0.483
H 2.144 3.952 -5.263 0.463
H -0.176 4.682 -4.765 0.416
H -1.578 3.371 -3.229 0.505
H -1.531 0.360 -2.540 0.655
H -1.695 1.773 -1.507 0.840
O -2.261 3.049 1.004 -0.657
Se -0.919 2.437 1.644 1.120
O -1.157 0.763 1.840 -0.788
O 0.211 2.143 0.397 -0.714
O -0.261 3.093 2.944 -0.641
```


2.
DFT (ωB97M-V/def2-TZVPD) results for C29H39AsCl2N3O2Tc as an isolated structure in a non-equilibrium geometry.

HOMO-LUMO gap (alpha / beta)   7.004 / 4.138 eV
Charge   +3
Calculated total energy   -4679.22318 Ha
Spin multiplicity   4
Expectation value of S²   3.790

Geometry as XYZ:
```
77
'''

Mr. Lowe is reported as saying that "the great men who established the Constitution. . . . established Federalism to check Democracy ; " that "no man need be surprised to see a second civil war succeed the first, from the inability of the Constitution to solve the difficulty in which the first civil war had placed the country ;" that Democracy "is singularly prone to concentrating power in individual men ;" that "it looks with hostility on everything that intervenes between the Sovereign and the people," and that consequently "in America there is nothing to break the shock that is ever going on between the two powers in the State," whereas "England is of all countries in the world the country of intermediate powers ;" that "every one knows and says that if America were left to the government of the great towns they would ruin it instantly, and it is the cultivators of the land who, by their conservative tendencies, keep it from ruin and destruction;" and that finally, in the words of Macaulay, "it is quite plain our Government would never be able to restrain a discontented majority, for with us the majority is the Government, and have the rich—always in a minority—absolutely at their mercy, "and that our republic will surely be plundered in the twentieth cen- tury "—about the time when his Lordship's New Zealander stands upon the ruins of London Bridge, I suppose—" by Huns and Vandals engendered in our own country, and by our own institu- tions." After that from Mr. Lowe and Lord Macaulay, I have nothing to say against any of 'their countrymen, for what they did and said in regard to this country during the rebellion. When

such men as those fail so in understanding and in knowledge, what can we expect of such men as look to find their opinions expressed for them in daily and weekly newspapers, however high their character? So far was Federalism from being established to check democracy, that it has no direct relations to or influence upon democracy. The Union of the people of these States which in 1789 supplanted the existing Federal Union of the States produced no change whatever in the character of our political institutions ; it made them neither more nor less democratic than they were before. In this regard it only demanded of the States a republican form of government, which they all had at the time of the Union. Mr. Lowe might as well have said that Federalism was established to check democracy in Germany. As to the Constitution in rela- tion to the present condition of affairs, there is no difficulty to be solved of which that instrument (not absolutely perfect though it be) does not admit the easy solution. There is no dispute, hardly a misunderstanding, between the two great masses of citizens— they can hardly be called parties—represented on the one side by Congress and on the other by the President, as to the Constitution as it stands. The point in dispute is whether circumstances justify a change in the Constitution so radical as to be almost subversive—the taking the control of citizenship and suffrage from the States, and giving it to the general Government, and the doing this for the purpose of bringing a new element into the nation— the negro. The struggle in the United States is very much what it is in Great Britain—between Conservatives and Radicals about an extension of the suffrage, the difference being that with us the extension cannot be made without a change in our organic law, and that while with you it is a question of Englishmen admitting Englishmen who for generations have been free, with us it is a question of Englishmen (in blood) admitting negroes who last year were chattel slaves. As to the tendency of our democracy to con- centrate power in single men, the time has gone past when there might have been a seeming, though but a seeming, support of such an assertion. During the war the President of the United States was a very powerful ruler. But President Johnson has laid down the sword, and now there is hardly the head of an insurance com- pany or a parish vestry whose powers are so limited, and who is so surrounded with checks and restraints, as the same officer who a year ago seemed almost absolute. He cannot spend a dollar except according to law and without special appropriation, nor can he originate a single measure of administration. His patron- age! People in Europe talk about the President's patronage as if he could make people his creatures by bestowing offices at his pleasure, but the fact is that the President cannot appoint to the pettiest office nominally in his gift, not even to a postmastership in a country village, a lieutenancy or jui engineership on a revenue cutter, except, in the words of the Constitution, "by and with the advice and consent of the Senate." The only "concentration of power" in our Government is in Congress. Congress is as absolute as Parliament, with this exception, that it is controlled by the Constitution, and that while Parliament can (if I am not in error) make changes in the British Constitution, Congress can only pro- pose changes, which are passed upon by the people, not in mass (for not even in this does a mere grow majority rule), but by the • people as represented in the legislatures of the several States. And of these a majority will not serve, but three-fourths. Thus even the people themselves do not rule here—the people pure and simple, although they are called the sovereign people, and our government a democracy, but the people under the Constitution,— under two constitutions, the local constitutions and the national constitution. Not a majority, not even unanimity, can set either of these aside ; nor can either of them be altered, except according to its own provisions. But by tha Sovereign, Mr. Lowe plainly did not mean the people, he meant the executive, the President ; and between him officially and the people, whose head servant or chief steward he is, comes Congress, to which the President is responsible, to which he must make regular reports of his administration, to whose special inquiries he must reply through the Cabinet officers just as if he were Prime Minister. But, unlike a prime minister, he cannot be got rid of during his term by a vote of want of confidence, only by impeachment. In this respect the British system of government is more flexible, I had almost said more democratic, than ours. That some, but by no means all, or even a majority of our great towns are the political as well as the moral plague spots of the country is true, and it is equally true that they find a check and a corrective in the rural population. But with this the conservatism of the one or the radicalism of the other has nothing to do. On the contrary, it is a fact that the rural districts are more inclined to be radical and progressive than the cities. And as to democracy, this relative position of the country folk and the townspeople has no more to do than it has with Papacy or Presbyterianism. I am happily able to show just to what ttis moral and political debauchery of the cities in question is due, and in doing so to sustain allegations made by me more than once in these columns. The quarterly report of the New York Metropolitan Police Department has just been made. The department has jurisdiction over the metropolitan district—the twin cities, New York and Brooklyn, and their suburbs. In that district the number of arrests (not convictions) during the last quarter was 16,593, and of these there were "born in the United States 5,301." I thought it worth while to inquire at head-quarters, without saying anything of my purpose in so doing, how many of this latter number were of the emigrant class, the children of Irish and German emigrants brought up in the emigrant quarters, and was informed that there were no records upon this subject, but that the proportion was very large, quite two-thirds, which would leave of the 16,593 arrests 1,767 of persons to be justly classed as "Americans." And this is the proportion, a little less than one-ninth, which American democracy furnishes to our criminal record in the worst city in that respect of the Free States. It is not democracy, but European emigration, that pro- duces the dangerous and demoralizing element in our great towns. American democracy, which is a very different thing from that which Europeans, and even, I venture to say, the Spectator, calls democracy, and which has existed here for two centuries, produces towns like New Haven in Connecticut, for instance, with a population of 30,000, and Newark, in New Jersey, with 60,000, both full of factories and with two and three lines of railway running through them, and yet as sedate, and cheerful, and re- spectable, and " conservative " as a cathedral town in England. It produces commonwealths like Vermont, where, as the census shows, with a population of 315,000, in ten years, 1850 to 1860, there was not a single homicide ; like New Hampshire, with 326,000 inhabitants, where during the same period there were but two, and that among a people who sent to battle in the last four years more than half their ablebodied men, who fought until more than one-quarter of them were killed or crippled for life. These are the sort of Huns and Vandals which, in the words of Lord Macaulay, are engendered in our own country and by our own institutions. The others are engendered in other countries and under other institutions. Do not suppose that we—that I, at least—believe that Yankees are inherently better men than those of their own blood who have remained in the Old Home. I know better. Whatever moral superiority they may seem to show in the mass, compared with the others in the mass, is due solely to their breeding and their circumstances, to those very institutions -which Macaulay thought so dangerous. And more, this democracy is no "American" discovery, neither is it an adaptation from Greece, or Italy, or France. Like everything good that we have here, whether in politics, in society, in law, in literature, it is English ; it has sprung out of our English nature, it has had room and verge enough, moral and material, in which to develop itself according to the law of its own being. It all came to us from the men of the Commonwealth. There was

much that the glorious Restoration did not bring back to us. We have kept steadily on upon the path which our fathers broke for us about 1650. And with our democracy our Federalism has nothing to do whatever.

Yesterday the House of Representatives passed by a vote of more than two-thirds the amendment reported by the Committee of Fifteen, including the third section, which excludes from the ballot box until 1870 all those who gave aid and comfort to the rebellion. The speeches, even on the Republican side, were almost all against this third section. But Mr. Stevens, the Radical leader of the House, got control of the question by moving to recommit it, and at a prescribed hour moved the pre- vious question, which made amendment then impossible. If the Democrats who voted against the amendment had voted against the previous question, there would have been a majority of 35 or 40 against taking the question. But they wished to preserve the Bill in its most aggressive form, for they know that if it passes both House and Senate in this form, the Democratic party, the old Pro-Slavery Democratic party, will come to life, and stand at least a fair chance of getting the reins again in 1868. So the Copperheads voted with the extreme Radicals for the question, and then, when the question was taken, they voted "No," and the very men who had been speaking for two days against this third section, the point and pivot of the amendment, at the crack of Mr. Stevens' whip wheeled into party line, and voted in a body for what they had openly condemned. Of parliamentary tactics like this, on both sides, whether practised in Parliament or in Con- gress, I own that I cannot think with patience or speak with respect. There is no ptevioua question in the Senate, and the amendment will probably not pass that body by two-thirds in its present form ; and it surely will not be confirmed by the legis-

latures of three-fourths of the States. A YANKEE.